picture~Name: Miroslav Olegavich Pushkin (In theory. That’s probably not actually his name. He has a very poor memory.)
Nickname(s): None. Expects to be addressed as Miroslav Olegavich by acquaintances, however. He’s rather adamant about it. It’s just common courtesy, in his mind.
Age: Older than even he remembers. He has some memories of Kievan Rus and the Mongolian invasion, however.
Date of Birth: sometime in December- he’s not sure of the date. He’d very much like to be, but oh well.
Gender: male, if a bit effeminate.
Sexuality: Rather uninterested in sex, though he does prefer men.
Ethnicity: Eastern European (specifically, Russian. He has a really thick accent as well to show for it.)
Race: vampire
Personality: Childlike, curious, inquisitive. Rather an innocent thing. Also rather off his rocker. But he has an awful temper, and will go off on a person in the blink of an eye without even feeling bad or thinking twice.
The thing is, he can present himself as very sane and mild-mannered, even likable. It has been speculated that he only plays at being insane for his own amusement, but then, wouldn't that be a sign of insanity...?
Likes: Playing his violin, smoking, kittens, Corbin, beauty, chocolate, being doted on, artists, creativity, being held, travel, snow.
Dislikes: Monks and monasteries, churches, vampire stereotypes, the fact that vampires aren’t really feared anymore, most people, ugly people, being mistaken for a woman.
== Attached: records of crystals ==
********
This record from the Alexandria database describes NaV6O15 after structural relaxation. The functional is PBE with a Hubbard U.

Properties
Calculated volume in A^3/atom: 19.66
Total magnetization in μB/f.u.: 1.000
Energy above the lowest structure with this stoichiometry in meV per atom: 38

```
22
Lattice="5.883 0.103 -0.080 -1.095 7.979 -0.056 -0.704 -0.453 9.207" Properties=species:S:1:pos:R:3 pbc="T T T"
Na 4.421 7.839 4.519
V 4.497 6.541 0.735
V 3.280 2.980 3.973
V 3.097 2.280 0.699
V 0.788 5.429 8.440
V 0.323 4.533 5.182
V -0.607 1.150 8.426
O 5.788 0.157 -0.016
O 4.328 6.729 2.349
O 3.131 5.635 0.017
O 4.497 3.990 4.722
O 3.302 3.284 2.148
O 3.746 2.108 8.725
O 3.654 1.400 4.217
O 3.175 0.750 1.204
O 0.695 6.954 7.903
O 0.358 6.145 4.845
O 0.148 5.612 0.455
O 0.535 4.401 7.051
O 1.647 3.389 4.536
O 0.778 2.068 9.115
O -0.462 0.927 6.816
```

~~~~~

(1)
Entry from Alexandria: an optimized crystal structure of TbTh2Sn2 (PBE).

Results
For the distance to the lowest polymorph of the same formula, the calculation gives 0.000 eV/f.u. As for the total energy: -6.071 eV/atom. The formation energy comes out at -576 meV/atom. Its space group is P4/mbm, No. 127.

Unit cell a=8.2411 b=8.2411 c=4.4424 alpha=90.00 beta=90.00 gamma=90.00
Atoms (fractional coordinates):
1 Tb 0.0000 0.0000 0.0000
2 Tb 0.5000 0.5000 0.0000
3 Th 0.1701 0.3299 0.5000
4 Th 0.3299 0.8299 0.5000
5 Th 0.6701 0.1701 0.5000
6 Th 0.8299 0.6701 0.5000
7 Sn 0.1323 0.6323 0.0000
8 Sn 0.3677 0.1323 0.0000
9 Sn 0.6323 0.8677 0.0000
10 Sn 0.8677 0.3677 0.0000

(2)
Entry from Alexandria: an optimized crystal structure of Nd12In6Ga (PBE).

Results
As for the total energy: -4.304 eV/atom. The formation energy comes out at -269 meV/atom. Its space group is R-3, No. 148.

Unit cell a=8.4048 b=8.4048 c=8.4048 alpha=92.10 beta=92.10 gamma=92.10
Atoms (fractional coordinates):
1 Nd 0.0433 0.9410 0.3070
2 Nd 0.0590 0.6930 0.9567
3 Nd 0.1504 0.4857 0.3864
4 Nd 0.3070 0.0433 0.9410
5 Nd 0.3864 0.1504 0.4857
6 Nd 0.4857 0.3864 0.1504
7 Nd 0.5143 0.6136 0.8496
8 Nd 0.6136 0.8496 0.5143
9 Nd 0.6930 0.9567 0.0590
10 Nd 0.8496 0.5143 0.6136
11 Nd 0.9410 0.3070 0.0433
12 Nd 0.9567 0.0590 0.6930
13 In 0.2058 0.3718 0.7645
14 In 0.2355 0.7942 0.6282
15 In 0.3718 0.7645 0.2058
16 In 0.6282 0.2355 0.7942
17 In 0.7645 0.2058 0.3718
18 In 0.7942 0.6282 0.2355
19 Ga 0.5000 0.5000 0.5000

(3)
Entry from Alexandria: an optimized crystal structure of ThMg2NpO8 (PBE).

Results
As for the total energy: -7.964 eV/atom. As for the raw formation energy: -2.70 eV/atom. Its space group is Cmmm, No. 65.

Unit cell a=4.7256 b=4.7256 c=7.1151 alpha=90.00 beta=90.00 gamma=90.55
Atoms (fractional coordinates):
1 Th 0.0000 0.0000 0.0000
2 Mg 0.5000 0.5000 0.2584
3 Mg 0.5000 0.5000 0.7416
4 Np 0.0000 0.0000 0.5000
5 O 0.1934 0.8066 0.2745
6 O 0.1934 0.8066 0.7255
7 O 0.2936 0.2936 0.5000
8 O 0.3280 0.3280 0.0000
9 O 0.6720 0.6720 0.0000
10 O 0.7064 0.7064 0.5000
11 O 0.8066 0.1934 0.2745
12 O 0.8066 0.1934 0.7255

(4)
********
(really, just his coloring- the picture gives a good idea as to his physical/facial structure and all)
Hair: pale, pale blonde, almost white.
Eyes: one green, one blue.
Skin: pale, with some scars.
Other notes: He’s short and rather effeminate in appearance, and is often mistaken as female. He gets absolutely furious when that happens.
Bio: Most of the beginning of Miroslav’s life is a total blur. He remembers being surrounded by Mongols at some point- remembers being dragged off and beaten by them. But that is that, as for his human life.
His “father” was a handsome sailor, but he can’t recall the circumstances under which they met. He didn’t stay with the man for long- rather a fiercely, stupidly independent being, he chose to live without his creator and experienced many a horror for it.
He was there when Catholicism came and ravaged Russia. He was there when St. Petersburg was built on the bones of those who slaved away for its sake. He saw the Romanovs rise, he saw them fall, and he fled the revolutions and Hitler’s horrors bestowed upon his Mother Russia and hid, frightened, for years.
He lives alone as ever he did, but now, he’s sick of it. A recent string of killings has caught his eye, as well as the perpetrator…
Other notes: He has a locket that appears to bear some significance to him, but he’s told no one what it is.